Input:
-- begin --
Computed, not measured: C17H24N4O4S2 in the gas phase at a distorted geometry, with the ωB97M-V functional and the def2-TZVPD basis.

Summary:
total charge	0
structure (SMILES)	CCCN(CCC)S(=O)(=O)c1ccc(C(=O)Nc2nnc(CSC)o2)cc1
gap between HOMO and LUMO	0.33974	Eh
max |F|	1.7	eV/Å

Last column: Löwdin charge in e.
CARTESIAN COORDINATES (ANGSTROEM)
C (-1.54035, -2.88447, -1.92388)  -0.10
C (-2.36850, -1.84081, -1.18560)  -0.23
C (-1.53064, -0.60532, -0.85324)  -0.23
N (-2.30525, 0.44443, -0.24212)  -0.25
C (-2.76600, 0.29363, 1.12019)  -0.22
C (-4.26996, 0.01793, 1.17892)  -0.23
C (-4.75346, -0.10505, 2.61812)  -0.10
S (-2.09207, 1.96798, -0.84302)  0.66
O (-2.21900, 1.90657, -2.26913)  -0.28
O (-2.93602, 2.85349, -0.10097)  -0.27
C (-0.37055, 2.36382, -0.48053)  -0.24
C (0.01292, 2.64486, 0.81646)  -0.03
C (1.34743, 2.88502, 1.09518)  0.01
C (2.28852, 2.83435, 0.07209)  -0.15
C (3.72075, 3.08603, 0.39939)  -0.41
O (4.14977, 4.12512, 0.82970)  0.12
N (4.58382, 2.02158, 0.18739)  0.20
C (4.31002, 0.72108, -0.10164)  -0.36
N (5.18679, -0.23600, -0.08526)  0.10
N (4.52859, -1.36332, -0.42700)  0.09
C (3.29637, -1.04547, -0.63939)  -0.42
C (2.18019, -1.93913, -0.97132)  -0.37
S (1.43954, -2.55304, 0.59428)  0.81
C (2.77214, -3.66916, 1.10483)  -0.39
O (3.07977, 0.28620, -0.44198)  0.13
C (1.88636, 2.59345, -1.23842)  -0.01
C (0.55178, 2.35143, -1.51003)  -0.04
H (-0.70734, -3.21060, -1.30520)  0.04
H (-1.14850, -2.47545, -2.85239)  0.08
H (-2.15111, -3.75117, -2.16243)  0.07
H (-2.75395, -2.27452, -0.26226)  0.11
H (-3.21408, -1.52821, -1.79912)  0.12
H (-1.13397, -0.18226, -1.77840)  0.11
H (-0.69174, -0.89470, -0.20072)  0.09
H (-2.20260, -0.51130, 1.60306)  0.13
H (-2.57092, 1.22764, 1.65159)  0.11
H (-4.49610, -0.89722, 0.63073)  0.10
H (-4.77848, 0.84448, 0.68177)  0.11
H (-4.24347, -0.92121, 3.12624)  0.07
H (-5.82241, -0.29957, 2.64312)  0.07
H (-4.55959, 0.81505, 3.16406)  0.07
H (-0.73236, 2.69127, 1.59364)  0.11
H (1.66770, 3.10678, 2.10190)  0.13
H (5.55760, 2.18953, 0.41902)  0.17
H (1.39306, -1.40197, -1.49561)  0.07
H (2.52649, -2.79828, -1.54197)  0.10
H (2.76342, -4.55241, 0.47241)  0.04
H (2.57649, -3.94455, 2.13552)  0.03
H (3.72241, -3.14732, 1.02232)  0.02
H (2.61361, 2.59719, -2.03701)  0.13
H (0.20287, 2.16361, -2.51330)  0.12

Computed, not measured: a 2-piece molecular cluster, C2H2I2NO overall at a distorted geometry, with the ωB97M-V functional and the def2-TZVPD basis.

Summary:
total charge	-1
gap between HOMO and LUMO	0.23691	Eh
max |F|	2.8	eV/Å

Last column: Löwdin charge in e.
CARTESIAN COORDINATES (ANGSTROEM)
C (-0.07315, 0.01445, -0.71860)  -0.08
C (-1.09818, 1.07314, -0.94459)  -0.59
N (-0.48624, 0.67228, 0.27930)  -0.32
O (-0.56433, 0.93919, 1.45189)  0.03
I (-0.40601, -3.37175, -0.03156)  -0.57
I (-0.27502, 2.86192, -1.88631)  0.62
H (-0.17775, -1.00590, -0.86175)  -0.14
H (-2.14717, 1.07794, -0.97294)  0.05

Computed, not measured: C2H5O3Sr as an isolated structure at a distorted geometry, with the ωB97M-V functional and the def2-TZVPD basis.

Summary:
multiplicity	2
total charge	+2
gap between HOMO and LUMO (spin up / spin down)	0.37674 / 0.35502	Eh
max |F|	1.9	eV/Å

Last column: Löwdin spin population.
CARTESIAN COORDINATES (ANGSTROEM)
H (-1.65040, -1.75871, 2.61618)  0.00
O (-0.13318, -0.84726, 1.59746)  0.44
O (0.94309, -1.15068, 0.95641)  0.50
C (-1.04386, -1.95051, 1.72245)  0.02
H (-0.39977, -2.83108, 1.77996)  0.01
Sr (2.26101, 0.67176, -0.13810)  0.00
O (1.43903, 2.09886, -1.80391)  0.00
C (0.41241, 2.41001, -2.39279)  0.00
H (0.47088, 3.10666, -3.24390)  0.00
H (-1.72420, -1.98157, 0.84099)  0.02
H (-0.57503, 2.23252, -1.93476)  0.00

Computed, not measured: C20H40Br20 as an isolated structure at a distorted geometry, with the ωB97M-V functional and the def2-TZVPD basis.

Summary:
total charge	0
gap between HOMO and LUMO	0.26136	Eh
max |F|	16.4	eV/Å

Last column: Löwdin charge in e.
CARTESIAN COORDINATES (ANGSTROEM)
Br (-11.05561, 22.84827, 8.66777)  0.62
-- stop --

Exercise:
Search the listing further up for the word "distorted" and give back each line that has it.

Completed:
Computed, not measured: C17H24N4O4S2 in the gas phase at a distorted geometry, with the ωB97M-V functional and the def2-TZVPD basis.
Computed, not measured: a 2-piece molecular cluster, C2H2I2NO overall at a distorted geometry, with the ωB97M-V functional and the def2-TZVPD basis.
Computed, not measured: C2H5O3Sr as an isolated structure at a distorted geometry, with the ωB97M-V functional and the def2-TZVPD basis.
Computed, not measured: C20H40Br20 as an isolated structure at a distorted geometry, with the ωB97M-V functional and the def2-TZVPD basis.